-- Work order --
Restate all of the data further below verbatim.

-- Excerpt --
The following is a DFT calculation (GGA-PBE) of an optimized crystal structure of KAsBr3.

a b c (Å): 5.468 5.468 5.468
angles (deg): 90.00 90.00 90.00
Space group Pm-3m (No. 221)
Symmetry-distinct sites (fractional):
K: 0.000 0.000 0.000 x1
As: 0.500 0.500 0.500 x1
Br: 0.000 0.500 0.500 x3

Total magnetic moment: 0.0 μB/f.u.
Crystal system: cubic
Total energy: -2.9623 eV/atom
Uncorrected formation energy: -0.81 eV/atom
Polymorph energy (0 for the lowest one): 0.43 eV/f.u.
DOS at the Fermi energy: 0.098 states/eV/atom



The following is a DFT calculation (GGA-PBE) of an optimized crystal structure of HoGaSiRh2.

a b c (Å): 4.154 13.621 6.582
angles (deg): 90.00 90.00 90.00
Space group Cmcm (No. 63)
Symmetry-distinct sites (fractional):
Ho: 0.000 0.130 0.250 x4
Ga: 0.000 0.500 0.000 x4
Si: 0.000 0.199 0.750 x4
Rh: 0.000 0.321 0.037 x8

Total magnetic moment: 0.0 μB/f.u.
Crystal system: orthorhombic
Total energy: -6.2376 eV/atom
Uncorrected formation energy: -0.69 eV/atom
DOS at the Fermi energy: 0.610 states/eV/atom



The following is a DFT calculation (GGA-PBE) of an optimized crystal structure of RhWSCl2.

a b c (Å): 4.913 4.913 4.414
angles (deg): 90.00 90.00 90.00
Space group P4/mmm (No. 123)
Symmetry-distinct sites (fractional):
Rh: 0.000 0.000 0.000 x1
W: 0.500 0.500 0.000 x1
S: 0.000 0.000 0.500 x1
Cl: 0.000 0.500 0.500 x2

Total magnetic moment: 4.0 μB/f.u.
Crystal system: tetragonal
Total energy: -4.1506 eV/atom
Uncorrected formation energy: 1.47 eV/atom
Polymorph energy (0 for the lowest one): 4.00 eV/f.u.
DOS at the Fermi energy: 0.942 states/eV/atom



The following is a DFT calculation (GGA-PBE) of an optimized crystal structure of In2TeI.

a b c (Å): 4.4908 4.4908 24.7439
angles (deg): 90.00 90.00 120.00
Space group R3m (No. 160, hexagonal axes)
Symmetry-distinct sites (fractional):
In: 0.0000 0.0000 0.0000 x3
In: 0.0000 0.0000 0.1862 x3
Te: 0.0000 0.0000 0.5887 x3
I: 0.0000 0.0000 0.7646 x3

Total magnetic moment: 0.0 μB/f.u.
Crystal system: trigonal
Total energy: -2.8239 eV/atom
Uncorrected formation energy: -0.28 eV/atom
Polymorph energy (0 for the lowest one): 0.12 eV/f.u.
DOS at the Fermi energy: 0.705 states/eV/atom



The following is a DFT calculation (GGA-PBE) of an optimized crystal structure of MnHgBi3.

a b c (Å): 5.180 5.180 5.180
angles (deg): 90.00 90.00 90.00
Space group Pm-3m (No. 221)
Symmetry-distinct sites (fractional):
Mn: 0.000 0.000 0.000 x1
Hg: 0.500 0.500 0.500 x1
Bi: 0.000 0.000 0.500 x3

Total magnetic moment: 0.0 μB/f.u.
Crystal system: cubic
E_form: 42 kJ/mol of atoms
Total energy: -3.7846 eV/atom
Polymorph energy (0 for the lowest one): 0.00 eV/f.u.
DOS at the Fermi energy: 0.544 states/eV/atom



The following is a DFT calculation (GGA-PBE) of an optimized crystal structure of Na4Zn2Sn5.

a b c (Å): 7.889 3.240 10.693
angles (deg): 90.00 93.12 90.00
Space group P2/m (No. 10)
Symmetry-distinct sites (fractional):
Na: 0.154 0.000 0.396 x2
Na: 0.292 0.000 0.947 x2
Zn: 0.049 0.500 0.124 x2
Sn: 0.198 0.500 0.685 x2
Sn: 0.406 0.500 0.207 x2
Sn: 0.500 0.500 0.500 x1

Total magnetic moment: 0.0 μB/f.u.
Crystal system: monoclinic
E_form: -8 kJ/mol of atoms
Total energy: -2.6186 eV/atom
DOS at the Fermi energy: 0.493 states/eV/atom



The following is a DFT calculation (GGA-PBE) of an optimized crystal structure of BaBeTe4.

a b c (Å): 9.220 9.220 9.220
angles (deg): 90.00 90.00 90.00
Space group F-43m (No. 216)
Symmetry-distinct sites (fractional):
Ba: 0.000 0.000 0.000 x4
Be: 0.250 0.250 0.750 x4
Te: 0.124 0.124 0.376 x16

Total magnetic moment: 0.0 μB/f.u.
Crystal system: cubic
Total energy: -2.9617 eV/atom
Uncorrected formation energy: 0.07 eV/atom
DOS at the Fermi energy: 0.145 states/eV/atom



The following is a DFT calculation (GGA-PBE) of an optimized crystal structure of Ac6AlCu2.

a b c (Å): 10.134 10.948 11.222
angles (deg): 90.00 90.00 90.00
Space group Immm (No. 71)
Symmetry-distinct sites (fractional):
Ac: 0.000 0.187 0.238 x8
Ac: 0.191 0.500 0.171 x8
Ac: 0.218 0.321 0.500 x8

-- Completed --
The following is a DFT calculation (GGA-PBE) of an optimized crystal structure of KAsBr3.

a b c (Å): 5.468 5.468 5.468
angles (deg): 90.00 90.00 90.00
Space group Pm-3m (No. 221)
Symmetry-distinct sites (fractional):
K: 0.000 0.000 0.000 x1
As: 0.500 0.500 0.500 x1
Br: 0.000 0.500 0.500 x3

Total magnetic moment: 0.0 μB/f.u.
Crystal system: cubic
Total energy: -2.9623 eV/atom
Uncorrected formation energy: -0.81 eV/atom
Polymorph energy (0 for the lowest one): 0.43 eV/f.u.
DOS at the Fermi energy: 0.098 states/eV/atom



The following is a DFT calculation (GGA-PBE) of an optimized crystal structure of HoGaSiRh2.

a b c (Å): 4.154 13.621 6.582
angles (deg): 90.00 90.00 90.00
Space group Cmcm (No. 63)
Symmetry-distinct sites (fractional):
Ho: 0.000 0.130 0.250 x4
Ga: 0.000 0.500 0.000 x4
Si: 0.000 0.199 0.750 x4
Rh: 0.000 0.321 0.037 x8

Total magnetic moment: 0.0 μB/f.u.
Crystal system: orthorhombic
Total energy: -6.2376 eV/atom
Uncorrected formation energy: -0.69 eV/atom
DOS at the Fermi energy: 0.610 states/eV/atom



The following is a DFT calculation (GGA-PBE) of an optimized crystal structure of RhWSCl2.

a b c (Å): 4.913 4.913 4.414
angles (deg): 90.00 90.00 90.00
Space group P4/mmm (No. 123)
Symmetry-distinct sites (fractional):
Rh: 0.000 0.000 0.000 x1
W: 0.500 0.500 0.000 x1
S: 0.000 0.000 0.500 x1
Cl: 0.000 0.500 0.500 x2

Total magnetic moment: 4.0 μB/f.u.
Crystal system: tetragonal
Total energy: -4.1506 eV/atom
Uncorrected formation energy: 1.47 eV/atom
Polymorph energy (0 for the lowest one): 4.00 eV/f.u.
DOS at the Fermi energy: 0.942 states/eV/atom



The following is a DFT calculation (GGA-PBE) of an optimized crystal structure of In2TeI.

a b c (Å): 4.4908 4.4908 24.7439
angles (deg): 90.00 90.00 120.00
Space group R3m (No. 160, hexagonal axes)
Symmetry-distinct sites (fractional):
In: 0.0000 0.0000 0.0000 x3
In: 0.0000 0.0000 0.1862 x3
Te: 0.0000 0.0000 0.5887 x3
I: 0.0000 0.0000 0.7646 x3

Total magnetic moment: 0.0 μB/f.u.
Crystal system: trigonal
Total energy: -2.8239 eV/atom
Uncorrected formation energy: -0.28 eV/atom
Polymorph energy (0 for the lowest one): 0.12 eV/f.u.
DOS at the Fermi energy: 0.705 states/eV/atom



The following is a DFT calculation (GGA-PBE) of an optimized crystal structure of MnHgBi3.

a b c (Å): 5.180 5.180 5.180
angles (deg): 90.00 90.00 90.00
Space group Pm-3m (No. 221)
Symmetry-distinct sites (fractional):
Mn: 0.000 0.000 0.000 x1
Hg: 0.500 0.500 0.500 x1
Bi: 0.000 0.000 0.500 x3

Total magnetic moment: 0.0 μB/f.u.
Crystal system: cubic
E_form: 42 kJ/mol of atoms
Total energy: -3.7846 eV/atom
Polymorph energy (0 for the lowest one): 0.00 eV/f.u.
DOS at the Fermi energy: 0.544 states/eV/atom



The following is a DFT calculation (GGA-PBE) of an optimized crystal structure of Na4Zn2Sn5.

a b c (Å): 7.889 3.240 10.693
angles (deg): 90.00 93.12 90.00
Space group P2/m (No. 10)
Symmetry-distinct sites (fractional):
Na: 0.154 0.000 0.396 x2
Na: 0.292 0.000 0.947 x2
Zn: 0.049 0.500 0.124 x2
Sn: 0.198 0.500 0.685 x2
Sn: 0.406 0.500 0.207 x2
Sn: 0.500 0.500 0.500 x1

Total magnetic moment: 0.0 μB/f.u.
Crystal system: monoclinic
E_form: -8 kJ/mol of atoms
Total energy: -2.6186 eV/atom
DOS at the Fermi energy: 0.493 states/eV/atom



The following is a DFT calculation (GGA-PBE) of an optimized crystal structure of BaBeTe4.

a b c (Å): 9.220 9.220 9.220
angles (deg): 90.00 90.00 90.00
Space group F-43m (No. 216)
Symmetry-distinct sites (fractional):
Ba: 0.000 0.000 0.000 x4
Be: 0.250 0.250 0.750 x4
Te: 0.124 0.124 0.376 x16

Total magnetic moment: 0.0 μB/f.u.
Crystal system: cubic
Total energy: -2.9617 eV/atom
Uncorrected formation energy: 0.07 eV/atom
DOS at the Fermi energy: 0.145 states/eV/atom



The following is a DFT calculation (GGA-PBE) of an optimized crystal structure of Ac6AlCu2.

a b c (Å): 10.134 10.948 11.222
angles (deg): 90.00 90.00 90.00
Space group Immm (No. 71)
Symmetry-distinct sites (fractional):
Ac: 0.000 0.187 0.238 x8
Ac: 0.191 0.500 0.171 x8
Ac: 0.218 0.321 0.500 x8